The following information was compiled from ERPD “pass along” reports.
December 19 – Day Shift
1406 Wright Street- Domestic Assault-
The complainant called to report her stepfather, Scott Parker, had assaulted her. Upon arrival the victim advised she came to the residence to provide care for her disabled mother. She advised Parker had been requesting her mother’s medicines since approximately 4:30 this morning and her husband, Scott Parker, had refused to provide them. Mrs. Parker advised she is in fear of her husband due to regular abuse. The victim advised she responded to the residence at approximately 06:30 hours where she and Parker got into a verbal argument over the care of Mrs. Parker. Mr. Parker then attempted to leave the residence. Upon doing so he assaulted the victim. Mr. Parker had left the scene before police arrival. Adult Protective Services was contacted. Warrants were issued for Mr. Parker. Later in the shift police located Scott Parker at his residence. He was taken into custody on the warrants and acquired new drug charges. He was transported to the Hamilton County Jail.
5700 Roper Street Newcastle Apartments)- Suspicious Activity-
The caller advised of several homeless people living and hanging out around the dumpsters. Upon arrival the homeless were advised to leave the property.
3727 Fountain Avenue- Warrant Service-
CSU detained Demetrick Wynn on Hamilton County warrants and transported him to jail.
4016 Wonder Drive- Vehicle Fire-
Upon arrival the fire was visible from the passenger side of the vehicle. Firefighers were able to extinguish the blaze.
Belvoir Avenue @ Ringgold Road- Warrant Service/Traffic Stop-
Shawn Jarrett was detained and transported to 601 on a Hamilton County warrant.
4416 Lanoir Circle- Suspicious Vehicle-
The caller advised of a silver Chrysler sedan “cruising” the neighborhood. Upon police arrival the vehicle had already left the area.
1517 Tombras Avenue- Suspicious Activity-
City Hall staff called to report a male in the restroom possibly using drugs. Upon arrival police located Richard W.. He was found to be gathering old cigarette butts in order to roll new ones. He was sent on his way.
December 19 – Night Shift
1023 S. Seminole / Auto Theft:
Police responded to this location in reference to an auto theft. The resident reported that his son Cody Gleash had taken his 2005 Chevy Suburban without his consent. Police issued a BOLO and a short time later Catoosa County had recovered to vehicle at 75 North Avenue in Rossville. Catoosa returned the vehicle to its owner and took Cody Gleash into custody for the auto theft.
941 Spring Creek Rd. / Delayed Assault:
Police responded after being called by ER staff regarding an assault victim. Police made contact with the victim who was unable to advise any suspect information. Police were able to determine the assault took place in East Brainerd but due the victim’s level of intoxication were unable to determine a more exact location. Chattanooga Police were advised of the incident and due to the party not wanting a report as well as being intoxicated they did not respond.
201 Eads Street, Apt 427 / Theft and Possession Schedule V:
Police responded to investigate a theft of a child’s medication. The victim stated that Jordan Orr-Crane returned to her apartment. Ms. Orr-Crane admitted to stealing the child’s ADHD medication in a conversation between the two women. Police spoke with Ms. Orr-Crane in which she admitted to officers that she is an addict and stole the meds. When officers asked to the location of the meds, she stated that she consumed all of the pills already with the last three being consumed earlier that day. Police took her into custody for Theft under $500. During a search incident to arrest, two capsules of Gabapentin were discovered on Ms. Orr-Crane’s person. Police arrested her for Theft and Possession of Schedule V controlled substance. She was transported to Hamilton County Jail.
December 20 – Day Shift
1509 Tombras Avenue (found property):
A small black child’s Rampage backpack was found near the swings at Pioneer Park. The backpack was collected and placed into property and evidence.
6500 Ringgold Road (shoplifting):
A white male wearing a camouflage shirt and a red bandana ran out of the Tip Top Food Mart with a case of beer and several packs of cigarettes. The suspect then dropped the items after being chased by the clerk. Tip Top does not wish to prosecute for the theft.
14 Laurel Lane (auto theft recovery):
Police recovered a stolen Dodge Ram 1500 found sitting on cinderblocks in front of an abandoned residence. The vehicle, which was stolen from Dalton, GA, was towed by East Ridge Auto and removed from NCIC.
3725 Fountain Avenue Apartment 12 (burglary):
The resident reported his apartment was burglarized sometime over the last three days. The victim advised no one had a key to his apartment, but he came home to find his back doors were unlocked. Various electronics were stolen along with an American Tactical 12 gauge, Mossberg 12 gauge and a small safe containing a Glock 19.
December 20– Night Shift
6401 Ringgold Rd (Misc):
A 20-year-old Hispanic male contacted police and stated that he had murdered another Hispanic male in Memphis, TN approximately one year ago. The shift supervisor contacted the Homicide Division of the Memphis PD and found that the male’s claim was not valid. Police then found evidence that the male had made a similar claim in the past two months that did not verify. Police transported the male party to Joe Johnson for a medical evaluation.
1417 S St Thomas, Rm 226 (Disorder):
Police responded to a disorder with vandalism at the Motel 6. On scene, police determined that the vandalism suspect was not a hotel guest and had already left the area. The suspects identity could not be verified on scene and will require additional investigation. Savannah Bryant, a hotel guest, was arrested for Obstruction and Criminal Impersonation. The other room occupant, Cameron McDuffy, was arrested on a Hamilton County warrant.
5610 Ringgold Rd (DUI):
Donny Akins was arrested for DUI and Implied consent following a traffic stop at this location.
4348 Ringgold Rd (DUI):
Jonathan Hazzard was arrested for DUI and possession of a handgun while under the influence after employees from Checkers called because he was asleep in his truck with it running for hours.
5348 Rose Street (Domestic Assault):
Matthew Upshaw was entrusted to look after his sister’s children while she was gone for a brief time. She came home to find her children in the house alone and Upshaw no longer there. Upshaw returned a short time later and assaulted his sister after a verbal argument. Upshaw left the scene in a white Nissan Maxima just prior to police arrival. Warrants for child neglect and domestic assault are pending on Upshaw. A report was filed with DCS.
4348 Ringgold Rd. (counterfeit money):
Police were called to Checkers restaurant regarding a fake $100 bill that a customer tried to pass to purchase food. The bill was placed into property and evidence.
December 21 – Day Shift
5406 Clemons Road (auto theft):
Inserted here: quantum chemistry results:
1.
Density functional theory data (ωB97M-V with the def2-TZVPD basis set) for a cluster of 2 separate species, C22H43O3 in total.

CARTESIAN COORDINATES (ANGSTROEM)
C  -4.99949  0.08924  -3.05657
C  -4.49744  -0.26357  -1.66426
C  -3.27069  -1.17940  -1.66341
C  -2.93481  -1.68807  -0.26572
C  -1.80200  -2.72533  -0.24799
C  -0.89215  -2.55168  0.97558
C  0.04256  -3.75338  1.16317
C  1.32361  -3.51300  1.99317
C  1.33132  -2.26677  2.87350
C  2.60974  -2.15980  3.69541
C  2.72999  -0.82504  4.43182
C  2.80638  0.39973  3.51802
C  3.72423  0.23919  2.30860
C  3.92177  1.57192  1.56739
C  3.71374  1.48085  0.04676
C  4.37212  0.28158  -0.65267
C  3.39524  -0.40886  -1.61590
C  2.77957  0.54511  -2.64826
C  1.27325  0.85815  -2.43735
O  0.78208  0.57206  -1.32272
O  0.71636  1.39251  -3.40005
H  -5.89794  0.70318  -2.97119
H  -4.28475  0.69165  -3.61200
H  -5.28386  -0.79496  -3.62879
H  -5.29765  -0.77957  -1.12533
H  -4.23453  0.65196  -1.13170
H  -2.41720  -0.61216  -2.04133
H  -3.42977  -2.01753  -2.34784
H  -3.83108  -2.08117  0.22195
H  -2.60774  -0.83015  0.32973
H  -1.18836  -2.53900  -1.13205
H  -2.19387  -3.74323  -0.27627
H  -1.54029  -2.46041  1.85242
H  -0.34673  -1.61960  0.84433
H  0.29303  -4.12078  0.16688
H  -0.53388  -4.54424  1.64982
H  2.18360  -3.47615  1.32051
H  1.48929  -4.37944  2.64042
H  1.24414  -1.38592  2.23766
H  0.46377  -2.28208  3.53804
H  3.47679  -2.35184  3.06159
H  2.60864  -2.94835  4.45604
H  3.55790  -0.84968  5.14512
H  1.82578  -0.71733  5.04259
H  1.80026  0.58057  3.12927
H  3.09047  1.29292  4.07587
H  4.69422  -0.13229  2.65665
H  3.31288  -0.50262  1.62614
H  3.15895  2.26178  1.94214
H  4.87806  2.03911  1.81345
H  4.12707  2.39089  -0.39664
H  2.64395  1.50729  -0.15866
H  4.75139  -0.45479  0.05845
H  5.23372  0.61635  -1.23845
H  2.56983  -0.83638  -1.04679
H  3.92226  -1.20914  -2.14414
H  3.29260  1.51010  -2.66204
H  2.87679  0.14865  -3.65893
C  -4.20360  4.30430  -0.95657
C  -4.39217  4.19942  -2.45143
O  -4.83775  3.20144  -2.96349
C  -3.98376  5.39912  -3.27336
H  -4.52864  3.38050  -0.48389
H  -3.15141  4.47548  -0.72450
H  -4.78823  5.13788  -0.56280
H  -2.92393  5.61003  -3.12371
H  -4.56029  6.27483  -2.96947
H  -4.16335  5.19592  -4.32619

Computed properties:
- Charge: -1
- Calculated total energy: -1089.844358 Eh
- Maximum force: 1.04 eV/Å

2.
Density functional theory data (ωB97M-V with the def2-TZVPD basis set) for a cluster of 11 separate species, C22H44Br22 in total.

CARTESIAN COORDINATES (ANGSTROEM)
Br  0.90227  6.92565  0.76913
C  0.50881  5.25466  1.67548
C  -0.58493  5.41299  2.68671
Br  0.06812  6.16007  4.42721
H  1.41503  5.01641  2.23478
H  0.38384  4.39519  1.02306
H  -1.05069  4.48791  3.02365
H  -1.41422  6.08030  2.47177
Br  -1.07412  3.26405  -2.79405
C  0.63613  3.34637  -3.79048
C  1.77421  2.94935  -2.86540
Br  3.28284  2.58205  -4.07588
H  0.80629  4.40855  -3.95856
H  0.52091  2.81466  -4.72361
H  1.58539  2.04393  -2.30164
H  1.96826  3.73510  -2.14000
The piece goes on:
The resident reported that her vehicle was stolen from her driveway as it was warming up. The black 2008 Saturn Vue (TN 6M06G0) entered into NCIC.
December 21 – Night Shift
6600 Ringgold Rd (DUI):
Mark Wimpee was arrested for driving under the influence following a traffic stop at this location.
4222 Ringgold Rd (DUI):
Patrick Millsaps was arrested for driving under the influence after he crashed into the rear end of another vehicle at this location causing his passenger and the other driver to be transported to the hospital.
4222 Ringgold Rd (Intoxicated person):
Wanda Shannon was arrested for public intoxication at this location.
6674 Ringgold Rd (assist fire):
Police assisted fire at the Oyo Hotel for a fire alarm.
941 Spring Creek Rd (Warrant Service):
Christopher Crum was arrested on an East Ridge Capias Warrant for Failure to Appear after being released from Park Ridge East Hospital.
┌──
A | {
  "formula": "C24H48O6",
  "method": "ωB97M-V with the def2-TZVPD basis set",
  "elements": ["H", "H", "C", "H", "C", "C", "O", "H", "C", "C", "H", "H", "C", "H", "H", "H", "H", "H", "C", "H", "C", "C", "C", "C", "H", "H", "H", "C", "H", "H", "O", "H", "C", "H", "H", "H", "C", "O", "H", "C", "H", "O", "C", "C", "H", "C", "H", "C", "H", "H", "H", "H", "C", "H", "H", "H", "H", "C", "H", "H", "O", "H", "C", "H", "H", "H", "H", "C", "O", "H", "H", "H", "H", "C", "H", "H", "H", "H"],
  "xyz": [[6.652, -8.073, 4.548], [-5.080, 1.065, -2.390], [-8.405, -5.874, 2.110], [9.255, -10.395, 3.194], [1.614, -3.120, 0.337], [0.657, -2.467, -0.549], [-5.242, 4.370, -3.050], [1.400, -0.104, 1.090], [7.282, -9.255, 3.105], [2.133, -2.048, 1.246], [0.278, 7.542, 1.218], [-8.792, -3.741, 1.759], [-7.957, -4.431, 1.639], [-6.466, 2.167, -0.884], [2.463, -3.562, -0.186], [-9.011, -5.976, 3.011], [6.058, 3.863, -1.369], [-5.702, 4.386, -1.121], [8.681, -9.577, 3.628], [7.301, -9.289, 2.015], [-1.463, 8.853, 1.796], [-7.567, -4.570, 0.165], [0.970, -1.080, 1.316], [5.775, 5.320, -4.416], [-8.102, -3.783, -0.367], [-7.115, -4.118, 2.256], [-2.882, 10.397, 0.973], [5.635, 4.221, -2.308], [-7.580, -6.565, 2.287], [4.742, 4.778, -2.025], [9.362, -8.349, 3.538], [-0.010, -3.288, -0.810], [7.093, -7.915, 3.564], [-0.199, 9.115, -0.738], [2.511, -2.428, 2.195], [8.510, -9.896, 4.656], [-6.509, 2.638, -1.866], [5.256, 4.087, -4.619], [5.808, 2.434, -3.361], [-4.514, 3.112, -3.180], [7.077, 5.836, -2.551], [-2.190, 9.111, -0.461], [-0.761, 7.742, 0.956], [5.107, 3.268, -3.411], [-8.303, -6.110, -1.101], [6.599, 5.035, -3.115], [7.406, 4.394, -3.468], [-6.202, 4.126, -2.054], [-1.240, 6.763, 0.931], [6.728, -10.093, 3.529], [-3.820, 2.936, -4.002], [8.557, -6.502, 2.853], [8.451, -7.275, 3.614], [-3.780, 3.105, -2.374], [3.014, -1.546, 0.845], [4.090, 3.084, -3.065], [6.458, -7.415, 2.833], [-5.489, 1.964, -2.851], [-5.921, 1.510, -3.743], [1.202, -3.981, 0.861], [-8.733, -6.562, 0.915], [-3.596, 8.917, 1.279], [-2.654, 9.332, 0.920], [-1.048, 7.583, -1.231], [-1.773, 8.386, 2.731], [-6.936, -6.669, -0.236], [-7.547, 2.415, -2.111], [-7.839, -6.070, -0.115], [0.073, -1.453, 0.227], [1.085, -2.286, -1.535], [0.451, -1.106, 2.274], [6.390, 5.427, -5.310], [-6.532, -4.268, 0.006], [-0.967, 8.381, -0.494], [8.547, -6.821, 4.601], [4.962, 6.045, -4.374], [-0.648, 9.556, 1.972], [-7.059, 4.794, -2.146]],
  "total_charge": 0,
  "e_homo_ev": -9.416
}



B | {
  "formula": "C24H48O6",
  "method": "ωB97M-V with the def2-TZVPD basis set",
  "elements": ["H", "C", "O", "H", "C", "C", "C", "H", "H", "H", "H", "H", "H", "C", "H", "C", "H", "H", "H", "H", "C", "H", "H", "H", "O", "H", "C", "O", "C", "H", "H", "O", "C", "C", "H", "H", "H", "H", "H", "H", "H", "C", "H", "H", "C", "H", "C", "C", "H", "C", "H", "H", "H", "C", "C", "H", "H", "C", "H", "H", "O", "H", "H", "O", "H", "H", "H", "C", "H", "H", "C", "C", "C", "H", "H", "H", "H", "C"],
└──
601 Walnut St (Warrant Service):
Christopher Smith was arrested at the Hamilton County Jail on an East Ridge warrant for Criminal Simulation.
4214 Ringgold Rd. (Theft):
Mr. Watson came to the police department to report a theft. Mr. Watson stated he met with Malik Walker, at the McDonalds restaurant, to purchase an IPhone XR for $330. After the purchase, Mr. Watson attempted to activate the phone, and was told the phone was stolen.
941 Spring Creek Rd. (possible sexual assault):
A mother brought her 1 ½ year old daughter to Park Ridge East Hospital, regarding a possible sexual assault. CID and CPS were both notified.
December 22 – Day Shift
1620 Prater Road (citizen assist):
An elderly resident at this location called police after his heat went out. Police adjusted the thermometer for him.
3900 Wiley Avenue (suspicious activity):
Residents of this location called, because an unknown male has been coming to their home looking for a man named Charles. The party left his phone number during the most recent visit. Police called the male and informed him that new tenants live at this address, and they do not want him coming by again.
601 Walnut Street (warrant service):
Carla Lewis was arrested at the Hamilton County Jail on an active East Ridge warrant for criminal trespassing.
December 22 – Night Shift
3400 Gail Dr. (Vandalism):
The resident stated she went out of town on Friday December 20th, 2019 around 0530 hours. She stated when she returned home this evening around 1800 hours her door was kicked in. She stated nothing was taken inside of her apartment and everything was where she left it. Police attempted to speak to the neighbors across the hall, but they were not home. No suspect information at this time.
3600 Ringgold Rd (Traffic Stop):
Police stopped a Nation Taxi sedan traveling on Ringgold Rd for a light law violation. The driver, Melissa Lane, was found to be driving on a revoked license and had a failure to appear arrest warrant through Sessions. Lane was taken into custody and transported to the Hamilton County Jail. A representative from the Nation Taxi company recovered the vehicle.
6200 Ringgold Rd. (disorder):
Police were dispatched to the Taco Bell regarding a disorder. Police made contact with the shift manager, who stated a man came inside the restaurant complaining about his order. The party began yelling and cussing and put his hands on the employee. After the party realized police were on their way, he threw his food and left.
3802 Daniel Dr. (alarm):
Police were dispatched to this location regarding a back-door alarm. Upon police arrival, all doors appeared secured. Negative contact.